Incontinence is the term given to an inability to control urine elimination, which means that members of public accidentally pass urine. Up to three million populace in the UK suffer from this embarrassing ailment, and it is particularly common in women over 40.
There are many types of incontinence, but each one is caused by a problem with the bladder.Our urine is produced by the kidneys and it collects in the bladder. The bladder empties when it is plenteous. When we urinate, the muscular wall of the bladder has to contract at the same time as the band of muscle at the outlet of the bladder relaxed. Better cases of incontinence in adults is caused by a problem with one or both of these processes.
Obviously, the symptoms of incontinence are urinating without intending to do so. Notwithstanding, this could manifest itself in a number of diverse ways.Some sufferers find that they leak urine when there is sudden pressure placed on their bladder such as when they bend over or sneeze. Meanwhile, other sufferers might pinpoint that they leak urine constantly.
As you plausibly already know, there are a number of various kinds of incontinence. We demonstrate listed some of the better common strains of the ailment below.Stress incontinence is the most common genre of incontinence and it is particularly common in women who display had children. Stress incontinence sufferers spot that urine leaks when they cough, or do any other sort of activity that puts pressure on the bladder.Finally, there is functional Incontinence, which is when you know you demand to go to urinate but you are unable to because of a bodily or communication problem, which prevents you from getting to the bathroom quickly enough.
There is a wide range of diverse treatments available for incontinence.One of them is bladder training. This treatment comprises emptying your bladder at set times, gone by gradually increasing the time between intervals. This treatment requirements to be followed for at slightest six weeks to see if it is going to work.Alternatively, your doctor may need to prescribe medicines to treat your problem. Hormone replacement therapy might also be proper if you show been through the menopause and show an overactive bladder.If you have stress incontinence and other treatments have not been effective, your doctor may recommend surgery to support your bladder neck and urethra. There are a wide range of surgical procedures available, so you will show to drop in your doctor for more information.
Between two parts of the entry: data records:
____________
A molecular structure, C35H69BClFMoN6OSi3. Source: the Open Molecules 2025 dataset; level of theory: wB97M-V/def2-TZVPD.

The geometry in XYZ format:
```
118
Properties=species:S:1:pos:R:3
Mo 0.271 0.137 0.093
Cl -1.368 2.223 -2.063
Si 3.491 0.216 -2.170
Si 3.550 -0.779 0.740
Si 1.646 -2.038 -1.472
F 1.467 0.477 1.558
O 0.143 -1.883 -0.641
N -0.768 -1.384 2.187
N -1.620 -0.453 2.726
N -2.310 -0.079 -0.295
N -0.979 1.988 1.955
N -2.768 0.683 0.741
N -0.157 2.173 0.872
C 1.483 4.088 0.222
C -2.224 -0.944 3.833
C -0.853 -2.462 2.981
C -1.222 -4.914 3.004
C -4.752 2.088 1.376
C -1.733 3.214 4.009
C 1.878 3.414 -1.074
C 1.037 5.522 -0.093
C 2.373 -0.497 -0.771
C 2.716 4.131 1.133
C -4.205 -2.184 -2.171
C 2.433 -3.694 -1.133
C 4.522 -1.161 -2.973
C -3.299 -0.086 -1.212
C -0.965 3.080 2.738
C -0.099 0.965 -1.834
C -4.289 -0.087 -3.504
C -0.147 -3.816 2.922
C -3.439 -0.891 -2.505
C -0.944 -2.814 -0.594
C 4.241 0.726 1.639
C 1.129 -2.120 -3.273
C 2.731 1.028 -3.701
C 0.710 -4.098 1.681
C 5.139 -1.666 0.197
C 2.972 -1.865 2.166
C 0.385 3.398 1.009
C -3.246 -0.237 4.660
C 0.745 -3.921 4.172
C -0.130 4.000 2.161
C -1.748 -2.210 4.033
C -4.363 0.701 -0.758
C -2.150 -1.249 -3.237
C 4.807 1.450 -1.639
C -3.989 1.175 0.475
B -2.052 0.877 2.086
H -5.045 1.596 2.304
H -1.793 -4.860 3.931
H 0.902 6.116 0.811
H 0.527 -1.272 -3.591
H 5.577 1.014 -1.006
H -3.495 -0.866 5.514
H 1.971 -2.201 -3.955
H 0.169 -3.781 5.086
H 2.211 2.396 -0.884
H -5.149 -1.953 -1.677
H -2.890 0.721 5.035
H 1.924 0.473 -4.175
H 4.989 -2.560 -0.405
H 2.713 3.963 -1.516
H 5.261 -0.667 -3.610
H -1.924 -4.837 2.171
H 2.399 2.053 -3.537
H 3.047 3.120 1.360
H -1.524 2.382 4.681
H -4.162 -0.052 4.098
H 0.746 1.299 -2.401
H 5.830 -1.009 -0.332
H -2.809 3.244 3.836
H -4.422 -2.734 -3.090
H 3.530 4.664 0.636
H -2.022 -2.870 4.838
H 3.944 -1.815 -3.623
H -5.325 0.008 -3.183
H 3.489 -1.470 3.046
H -4.293 -0.602 -4.466
H -0.506 0.080 -2.313
H -1.423 -1.749 -2.604
H 1.802 6.011 -0.699
H -0.744 -5.895 2.959
H 1.909 -1.816 2.379
H 1.535 -3.170 4.149
H 1.715 -4.499 -1.311
H -0.808 -3.563 -1.375
H -2.393 -1.934 -4.053
H 1.209 -4.909 4.208
H -2.856 1.329 2.830
H -1.437 4.136 4.505
H 3.554 1.074 -4.421
H -1.693 -0.363 -3.679
H 4.409 2.330 -1.140
H -5.293 0.903 -1.256
H 5.296 1.780 -2.561
H 3.521 1.102 2.365
H 5.103 0.345 2.195
H 2.498 4.635 2.075
H 0.953 -3.196 1.137
H 5.067 -1.785 -2.272
H 3.283 -2.903 2.051
H 0.101 5.529 -0.653
H 0.105 4.976 2.546
H -4.165 2.969 1.636
H 2.838 -3.808 -0.131
H 1.062 3.399 -1.788
H -0.979 -3.286 0.378
H 1.648 -4.570 1.972
H -3.874 0.911 -3.649
H 3.249 -3.823 -1.850
H 5.639 -1.976 1.120
H -3.637 -2.841 -1.512
H -5.654 2.417 0.863
H 4.589 1.552 1.031
H -1.866 -2.268 -0.738
H 0.528 -3.025 -3.407
H 0.208 -4.787 1.001
```

## Properties
E in Ha: -3300.60710
ΔE to the lowest compared entry with this formula, charge and spin in kcal/mol: 6.3
Spin multiplicity: 3
HOMO energy (alpha / beta) in eV: -8.269 / -8.633
⟨S²⟩: 2.027

* * * * *
____________
The data records stop here:
In addition to these treatments, there are also a wide range of products available that could help you to control your symptoms. These include washable and disposable pads and knickers to keep you dry throughout the day and night, as well as a wide range of bed protection products and toiletries that will feel splendid.